'''
GGA+U Li3V2C4O12, optimized geometry; space group = P2_1; energy relative to the lowest polymorph listed for this composition = 16 meV per atom; energy of formation = -2.0745 eV/atom; raw total energy = -7.243 eV/atom
1.0
6.226 0.000 0.000
0.000 9.733 0.000
-0.287 0.000 7.824
Li V C O
6 4 8 24
Direct
0.093 0.000 0.367 Li
0.096 0.000 0.743 Li
0.169 0.517 0.986 Li
0.831 0.017 0.014 Li
0.904 0.500 0.257 Li
0.907 0.500 0.633 Li
0.430 0.792 0.950 V
0.465 0.807 0.524 V
0.535 0.307 0.476 V
0.570 0.292 0.050 V
0.047 0.259 0.498 C
0.066 0.259 0.005 C
0.399 0.541 0.709 C
0.484 0.569 0.244 C
0.516 0.069 0.756 C
0.601 0.041 0.291 C
0.934 0.759 0.995 C
0.953 0.759 0.502 C
0.053 0.137 0.946 O
0.055 0.134 0.545 O
0.102 0.828 0.943 O
0.134 0.830 0.505 O
0.207 0.513 0.740 O
0.213 0.327 0.447 O
0.245 0.326 0.019 O
0.428 0.607 0.092 O
0.434 0.943 0.737 O
0.456 0.951 0.331 O
0.468 0.643 0.376 O
0.470 0.670 0.725 O
0.530 0.170 0.275 O
0.532 0.143 0.624 O
0.544 0.451 0.669 O
0.566 0.443 0.263 O
0.572 0.107 0.908 O
0.755 0.826 0.981 O
0.787 0.827 0.553 O
0.793 0.013 0.260 O
0.866 0.330 0.495 O
0.898 0.328 0.057 O
0.945 0.634 0.455 O
0.947 0.637 0.054 O

***

GGA+U LiVCO4, optimized geometry; space group = P-1; energy of formation = -2.2255 eV/atom; raw total energy = -7.306 eV/atom
1.0
3.185 0.000 0.000
0.000 9.364 0.000
0.247 0.008 9.426
Li V C O
4 4 4 16
Direct
0.247 0.192 0.092 Li
0.247 0.308 0.591 Li
0.753 0.692 0.409 Li
0.753 0.808 0.908 Li
0.260 0.562 0.119 V
0.260 0.939 0.619 V
0.740 0.061 0.381 V
0.740 0.438 0.881 V
0.244 0.630 0.666 C
0.244 0.870 0.166 C
0.756 0.130 0.834 C
0.756 0.370 0.334 C
0.235 0.507 0.740 O
0.235 0.993 0.240 O
0.243 0.628 0.533 O
0.243 0.872 0.033 O
0.248 0.113 0.501 O
0.249 0.387 0.002 O
0.259 0.751 0.240 O
0.260 0.749 0.739 O
0.740 0.251 0.261 O
0.741 0.249 0.760 O
0.751 0.613 0.998 O
0.752 0.887 0.499 O
0.757 0.128 0.967 O
0.757 0.372 0.467 O
0.765 0.007 0.760 O
0.765 0.493 0.260 O

***

GGA+U LiV2C4O12, optimized geometry; space group = Cc; energy relative to the lowest polymorph listed for this composition = 3 meV per atom; energy of formation = -2.0261 eV/atom; raw total energy = -7.538 eV/atom
1.0
4.509 -5.998 0.000
4.509 5.998 0.000
-4.254 0.000 7.623
Li V C O
2 4 8 24
Direct
0.126 0.874 0.500 Li
0.874 0.126 0.000 Li
0.126 0.381 0.499 V
0.381 0.126 0.999 V
0.626 0.871 0.500 V
0.871 0.626 0.000 V
0.312 0.924 0.242 C
0.327 0.440 0.254 C
0.423 0.815 0.740 C
0.440 0.327 0.754 C
0.815 0.423 0.240 C
0.829 0.936 0.261 C
0.924 0.312 0.742 C
0.936 0.829 0.761 C
0.068 0.995 0.894 O
0.080 0.403 0.724 O
0.155 0.770 0.112 O
0.161 0.350 0.264 O
0.263 0.688 0.598 O
0.350 0.161 0.764 O
0.355 0.386 0.113 O
0.369 0.908 0.393 O
0.386 0.355 0.613 O
0.403 0.080 0.224 O
0.410 0.868 0.889 O
0.477 0.592 0.393 O
0.592 0.477 0.893 O
0.594 0.895 0.730 O
0.666 0.857 0.277 O
0.688 0.263 0.098 O
0.770 0.155 0.612 O
0.832 0.879 0.104 O
0.857 0.666 0.777 O
0.868 0.410 0.389 O
0.879 0.832 0.604 O
0.895 0.594 0.230 O
0.908 0.369 0.893 O
0.995 0.068 0.394 O


Crystalline Na3YMgSiS2O12 at its relaxed geometry, computed with GGA-PBE.

Summary:
The calculation puts the theoretical density at 2.72 g/cm³. The calculation puts the electronic total energy at -6.44 eV/atom.

Geometry as extended XYZ:
```
120
Lattice="-3.255 8.586 -0.986 -2.148 -6.496 -6.234 -18.686 -5.685 12.182" Properties=species:S:1:pos:R:3 pbc="T T T"
Na -6.791 3.866 2.427
Na -5.871 -5.483 -1.137
Na -17.263 -2.918 4.333
Na -15.351 -1.042 8.755
Na -12.737 -2.854 4.629
Na -14.973 -3.812 0.530
Na -4.449 -4.086 -5.203
Na -2.449 -2.505 -1.176
Na -21.973 -1.231 6.037
Na -19.190 0.584 10.174
Na -8.718 0.447 4.425
Na -11.688 -0.875 0.232
Na -14.502 -0.864 -1.061
Na -20.729 -11.927 5.974
Na -18.265 -1.046 7.546
Na -8.893 1.719 1.464
Na -5.524 -2.457 -2.517
Na -14.916 -5.171 3.559
Y -17.454 -1.649 0.796
Y -4.917 -7.235 -4.328
Y -21.245 -2.123 9.242
Y -11.965 0.888 3.131
Y -8.474 -3.285 -0.666
Y -17.815 -6.133 5.426
Mg -6.585 -2.007 4.167
Mg -15.921 -4.868 10.260
Mg -15.693 -0.253 5.557
'''

Duplicate the lines further above from the one with "0.740 0.061" to the one with "-21.245 -2.123" character by character, please.

0.740 0.061 0.381 V
0.740 0.438 0.881 V
0.244 0.630 0.666 C
0.244 0.870 0.166 C
0.756 0.130 0.834 C
0.756 0.370 0.334 C
0.235 0.507 0.740 O
0.235 0.993 0.240 O
0.243 0.628 0.533 O
0.243 0.872 0.033 O
0.248 0.113 0.501 O
0.249 0.387 0.002 O
0.259 0.751 0.240 O
0.260 0.749 0.739 O
0.740 0.251 0.261 O
0.741 0.249 0.760 O
0.751 0.613 0.998 O
0.752 0.887 0.499 O
0.757 0.128 0.967 O
0.757 0.372 0.467 O
0.765 0.007 0.760 O
0.765 0.493 0.260 O

***

GGA+U LiV2C4O12, optimized geometry; space group = Cc; energy relative to the lowest polymorph listed for this composition = 3 meV per atom; energy of formation = -2.0261 eV/atom; raw total energy = -7.538 eV/atom
1.0
4.509 -5.998 0.000
4.509 5.998 0.000
-4.254 0.000 7.623
Li V C O
2 4 8 24
Direct
0.126 0.874 0.500 Li
0.874 0.126 0.000 Li
0.126 0.381 0.499 V
0.381 0.126 0.999 V
0.626 0.871 0.500 V
0.871 0.626 0.000 V
0.312 0.924 0.242 C
0.327 0.440 0.254 C
0.423 0.815 0.740 C
0.440 0.327 0.754 C
0.815 0.423 0.240 C
0.829 0.936 0.261 C
0.924 0.312 0.742 C
0.936 0.829 0.761 C
0.068 0.995 0.894 O
0.080 0.403 0.724 O
0.155 0.770 0.112 O
0.161 0.350 0.264 O
0.263 0.688 0.598 O
0.350 0.161 0.764 O
0.355 0.386 0.113 O
0.369 0.908 0.393 O
0.386 0.355 0.613 O
0.403 0.080 0.224 O
0.410 0.868 0.889 O
0.477 0.592 0.393 O
0.592 0.477 0.893 O
0.594 0.895 0.730 O
0.666 0.857 0.277 O
0.688 0.263 0.098 O
0.770 0.155 0.612 O
0.832 0.879 0.104 O
0.857 0.666 0.777 O
0.868 0.410 0.389 O
0.879 0.832 0.604 O
0.895 0.594 0.230 O
0.908 0.369 0.893 O
0.995 0.068 0.394 O


Crystalline Na3YMgSiS2O12 at its relaxed geometry, computed with GGA-PBE.

Summary:
The calculation puts the theoretical density at 2.72 g/cm³. The calculation puts the electronic total energy at -6.44 eV/atom.

Geometry as extended XYZ:
```
120
Lattice="-3.255 8.586 -0.986 -2.148 -6.496 -6.234 -18.686 -5.685 12.182" Properties=species:S:1:pos:R:3 pbc="T T T"
Na -6.791 3.866 2.427
Na -5.871 -5.483 -1.137
Na -17.263 -2.918 4.333
Na -15.351 -1.042 8.755
Na -12.737 -2.854 4.629
Na -14.973 -3.812 0.530
Na -4.449 -4.086 -5.203
Na -2.449 -2.505 -1.176
Na -21.973 -1.231 6.037
Na -19.190 0.584 10.174
Na -8.718 0.447 4.425
Na -11.688 -0.875 0.232
Na -14.502 -0.864 -1.061
Na -20.729 -11.927 5.974
Na -18.265 -1.046 7.546
Na -8.893 1.719 1.464
Na -5.524 -2.457 -2.517
Na -14.916 -5.171 3.559
Y -17.454 -1.649 0.796
Y -4.917 -7.235 -4.328
Y -21.245 -2.123 9.242